**Request:**
Now echo all of the notes further below without altering anything.

**Given:**
/*
Here is crystalline Ac2LaP3Rh12 at its relaxed geometry from Alexandria. Energies are from PBE.

Results
The calculation puts the total moment at 0.00 μB/cell. As for the total energy: -6.85 eV per atom. For the formation enthalpy at 0 K, the calculation gives -316 meV/atom. The symmetry is R-3m.

Cell lengths 7.3900, 7.3900, 7.3900 Å; angles 69.60, 69.60, 69.60 degrees
With the nearest neighbours (Å) after each atom.
Fractional positions:
Ac: 0.1044 0.1044 0.1044  3 Rh 2.79
Ac: 0.8956 0.8956 0.8956  3 Rh 2.79
La: 0.5000 0.5000 0.5000  6 Rh 2.64
P: 0.0000 0.5000 0.5000  6 Rh 2.23-2.29
P: 0.5000 0.0000 0.5000  6 Rh 2.23-2.29
P: 0.5000 0.5000 0.0000  6 Rh 2.23-2.29
Rh: 0.1138 0.6432 0.6432  1 P 2.23
Rh: 0.1714 0.1714 0.5892  2 P 2.29
Rh: 0.1714 0.5892 0.1714  2 P 2.29
Rh: 0.3568 0.3568 0.8862  1 P 2.23
Rh: 0.3568 0.8862 0.3568  1 P 2.23
Rh: 0.4108 0.8286 0.8286  2 P 2.29
Rh: 0.5892 0.1714 0.1714  2 P 2.29
Rh: 0.6432 0.1138 0.6432  1 P 2.23
Rh: 0.6432 0.6432 0.1138  1 P 2.23
Rh: 0.8286 0.4108 0.8286  2 P 2.29
Rh: 0.8286 0.8286 0.4108  2 P 2.29
Rh: 0.8862 0.3568 0.3568  1 P 2.23
*/

**Result:**
Here is crystalline Ac2LaP3Rh12 at its relaxed geometry from Alexandria. Energies are from PBE.

Results
The calculation puts the total moment at 0.00 μB/cell. As for the total energy: -6.85 eV per atom. For the formation enthalpy at 0 K, the calculation gives -316 meV/atom. The symmetry is R-3m.

Cell lengths 7.3900, 7.3900, 7.3900 Å; angles 69.60, 69.60, 69.60 degrees
With the nearest neighbours (Å) after each atom.
Fractional positions:
Ac: 0.1044 0.1044 0.1044  3 Rh 2.79
Ac: 0.8956 0.8956 0.8956  3 Rh 2.79
La: 0.5000 0.5000 0.5000  6 Rh 2.64
P: 0.0000 0.5000 0.5000  6 Rh 2.23-2.29
P: 0.5000 0.0000 0.5000  6 Rh 2.23-2.29
P: 0.5000 0.5000 0.0000  6 Rh 2.23-2.29
Rh: 0.1138 0.6432 0.6432  1 P 2.23
Rh: 0.1714 0.1714 0.5892  2 P 2.29
Rh: 0.1714 0.5892 0.1714  2 P 2.29
Rh: 0.3568 0.3568 0.8862  1 P 2.23
Rh: 0.3568 0.8862 0.3568  1 P 2.23
Rh: 0.4108 0.8286 0.8286  2 P 2.29
Rh: 0.5892 0.1714 0.1714  2 P 2.29
Rh: 0.6432 0.1138 0.6432  1 P 2.23
Rh: 0.6432 0.6432 0.1138  1 P 2.23
Rh: 0.8286 0.4108 0.8286  2 P 2.29
Rh: 0.8286 0.8286 0.4108  2 P 2.29
Rh: 0.8862 0.3568 0.3568  1 P 2.23